Visit this profile later to see if your question was answered.
A cuddle
Chiz and Kat, I only see them once a week but those girls are quality
We've been friends and not friends for a while and I miss her. tbh she's an awesome human
Probably mum and dad atm
Literal best deb partner out, so so supportive and one of my absolute faves
Rude lil *****, but amazeballs to talk to about anything
My current boyfriend lol
Eating when I'm bored :/
Look no
and I think that's wonderful, because while they are putting effort into thinking about me, talking about me and trying to start ****, I'm not even acknowledging them :)
Probably make up or shoes
Nothing anymore
Riley and Luke
Can't think of anything :/
You are one of my favouritest ladies too bb, absolutely adore you xx
What do you mean? I don't know anything about whatever they're doing so why ask me?
If I started treating you that way there was obviously a reason and I don't know what to tell you because I don't know who you are? :(
No one, everyone's an ***hole
I really don't care about 'your tahlia' right now so please take your opinion off my qooh me page where it isn't needed.
I will :)
George from the 1975 bc then we could do fun stuff like get high together and other things and yes please
When have I been mean to her?
Who said I had anything against her???
My muscly arms ;)
You're**** and apology accepted you jealous ***** :)
Love love love her, one of my closets bestest friends, i can trust her with anything and she's fab to ***** to because she just gets it
Too much lel
i actually don't know how to reply to this other than I love you ahahah a! X
Don't remember the dream but I remember feeling like I was falling then my body like spazemed and I woke up and it was funny
Ta bb
Already answered this and if anyones trying to start **** its you xx
How am I trying to start **** when I only answered the question from what Jackson told me??
Tell me something I don't already know??
Gabby: Heard she blamed Tahlia for the comment saying she was going to break jackson and I up so idk but she seems really nice Tahlia: she's pretty and idk what to think, I've already answered this Courtney: Haven't heard much about her but she seems cool as
Didn't have any plans
I've only met Rumer and jake and they're both funny and really really friendly and I want to get to know them better, but name people and I'll tell you what I think
I miss everyone :(
My positive attitude, lol idk I'm not positive
Reece's buttercups, like those things are amazing
Lol at the bit down the end But I think she's alright, I've heard that she's said a few colourful things about me and my relationship but I haven't met her and don't really know her so ???
I am cool, and you love me a lot but I'm not a muggle
### Next to the text, the page also holds records of crystals
____________
(1)
Pm2RuRh: relaxed, GGA-PBE.

abc: 7.015 7.015 7.015
angles: 90.00 90.00 90.00
Positions (direct):
Pm1 0.250 0.250 0.250
Pm2 0.250 0.250 0.750
Pm3 0.250 0.750 0.250
Pm4 0.250 0.750 0.750
Pm5 0.750 0.250 0.250
Pm6 0.750 0.250 0.750
Pm7 0.750 0.750 0.250
Pm8 0.750 0.750 0.750
Ru1 0.000 0.000 0.000
Ru2 0.000 0.500 0.500
Ru3 0.500 0.000 0.500
Ru4 0.500 0.500 0.000
Rh1 0.000 0.000 0.500
Rh2 0.000 0.500 0.000
Rh3 0.500 0.000 0.000
Rh4 0.500 0.500 0.500

energy of formation from the pure elements: -0.4104 eV per atom
SG: Fm-3m

***

(2)
Ba6Re2N6O: relaxed, GGA-PBE.

abc: 7.550 7.550 7.550
angles: 65.66 65.66 65.66
Positions (direct):
Ba1 0.184 0.740 0.333
Ba2 0.260 0.667 0.816
Ba3 0.333 0.184 0.740
Ba4 0.667 0.816 0.260
Ba5 0.740 0.333 0.184
Ba6 0.816 0.260 0.667
Re1 0.250 0.250 0.250
Re2 0.750 0.750 0.750
N1 0.039 0.483 0.232
N2 0.232 0.039 0.483
N3 0.483 0.232 0.039
N4 0.517 0.768 0.961
N5 0.768 0.961 0.517
N6 0.961 0.517 0.768
O1 0.500 0.500 0.500

energy of formation from the pure elements: -0.9540 eV per atom
SG: R-3
____________
To be a dancer :)
My bæ and maybe Jackson
Sydney or America (San francisco, California)
Jamo and Hayden
I dont think there is a 'situation' as such anymore and I don't see why you are asking me when I'm not close with any of the people involved, but I just hope that they are all happy.
I LOVE YOU SO MUCH LUCAS, MY SECRET LESBIAN LOVER! awks if this isn't lucas but I love you anyway!!
Pretty **** actually lol :(
it's probably me because I change my mind so often :/
Yeah I've spoken to jack about it and he's gonna kill a *****
Love them both equally as they're the best.
I personally don't know if that's true or not but I would say it's false. When jack talks about her, he describes her as a wonderful person.
Chloe :)
Jamos party was so good! I had been to the dentist that day and was in a lot of pain at the party but considering that it was still awesome.
Guys: Dos (my dirty mind buddy), jack, Jacko and Oscar Girls: Sam, maddy, Jamo and tay
Fk yeah it's gonna be so good!!!
I shower or bath at night time?
Everything really, especially his arms :))
Hells yes
Jillian: steph and lauren Jason: Stevie Jason T: chiz, kat and emma
Idk I love all the people at dancing. Depends on what class you're asking about
thankkyou x
Always and forever man
Honestly loved them so much as a couple, but individually they are both really funny and friendly and very easy to get along with.
My fav couples are ash stagg and lauren, Lucy and Liam and then eventually Brent and jamo when they happen :)))
The most aggravating, annoying and loyal person I've ever met and I am very inlove with him.
People that I wasn't friends with but am now, before thought I was either shy and quiet or a ***** lel
I don't really see it, although you might, but I do know that I am very lucky to have him (:
Not much actually
Jack, Oscar, Hayden and obvs Jacko
Aw, love you too xx
How did he create someone so perfect, that someone being Leonardo dicaprio?
Idk.. I love all my friends and it's hard to pick a favourite
chloshay, shanty, Kaleb Stivey, sometimes Cooper and brayden even tho we barely talk anymore :)
He is fabulous but not as fabulous as me
Target in chirnside ✌️
Aw thankyou! X
I honestly think everyone looked amazing and I couldn't pick as to who looked best
Jackson Fanfulla :)
Be a ***** and be angry at everyone even if it's not their fault.
Yeaah :(
Thanks beb
Tbh somedays it's like 9:30pm but then on other days it's like 3am so idk ??
When they are over confident and think they're top sh*t
Spiders and the red man thing from incidious
Seeing/ watching someone loose interest in you
A lot of them
She's pretty and I'm way jealous of her dancing skills. :)
Look it probably can
Shaved my legs, it was fun bc I hadn't done it in sooo long and omg so much hair hahahah
not really :( I've been having a really off week and honestly not feeling myself. Sorry I havent been as fun and whatever that other word is.. Thank you for caring tho x
Overall appearance and how unattached I am to people.
Anonymous sweetness is one of the best things. thanks you a bunch for making me feel a bit better xx